
I recently posted an interesting article on my social media sites about people creating “divorce registries” for themselves after their marriage ends. The article posed the novel idea that friends and family can be invited to buy the divorcing person gifts from a register in the same way people getting married have gift registries.  Articles like this are always fun to post because of their sarcastic messages about going through a divorce. Most people I know who have gone or are going through a divorce appreciate a little sarcasm now and then.

After posting this article I reflected on how much aid should people give to their divorcing friends. As a longtime divorce advocate, I share the following thoughts on the subject.

(The article is interrupted by data records)
'''
Compound: LiTl4Ni4O12
Source: Materials Project
Functional: PBE+U
Structure: relaxed

For the volume, the calculation gives 237.0 Å³/cell. The total energy comes out at -96.235 eV per cell. The energy above the most stable polymorph in this dataset is 0.002 eV/atom. Its calculated density is 8.8 g/cm3.

The structure in POSCAR format:
```
LiTl4Ni4O12
1.0
-5.0494 -0.5239 -1.6949
0.5055 -5.5110 0.3554
-2.1361 0.0269 7.7120
O Li Tl Ni
12 1 4 4
Direct
0.6215 0.0478 0.7606
0.8140 0.7824 0.4506
0.1158 0.4574 0.2386
0.2796 0.7028 0.9374
0.7220 0.2917 0.4310
0.7837 0.8246 0.0752
0.3055 0.6817 0.5595
0.8805 0.5435 0.7688
0.2036 0.1999 0.5471
0.6927 0.3272 0.0571
0.1955 0.1919 0.9273
0.3870 0.9512 0.2502
0.8631 0.1093 0.9413
0.4733 0.4387 0.7668
0.9881 0.0563 0.2725
0.0416 0.9139 0.7098
0.5212 0.5567 0.2519
0.9914 0.5233 0.0062
0.0090 0.4890 0.4940
0.4716 0.9964 0.0092
0.5141 0.9976 0.5033
```

* * * * *

<i>
A plane-wave DFT calculation with GGA-PBE was carried out for an optimized crystal structure of Fe2S.

Summary:
For the calculated volume, the calculation gives 12.386 Å³/atom.

abc: 5.1139 5.1139 17.8448
angles: 96.58 96.58 34.15
Last column: nearest neighbours and their distance in Å.
Positions (direct):
Fe 0.0000 0.0000 0.0000  3 S 2.19-2.20
Fe 0.9997 0.9997 0.3876  3 S 2.18-2.20
Fe 0.1261 0.1261 0.6960  3 S 2.18-2.23, 1 Fe 2.41
Fe 0.1474 0.1474 0.2856  3 S 2.21-2.26, 1 Fe 2.46
Fe 0.2656 0.2656 0.9686  3 S 2.21-2.22
Fe 0.2703 0.2703 0.5952  2 S 2.14-2.18
Fe 0.4145 0.4145 0.8585  3 S 2.18-2.19
Fe 0.4306 0.4306 0.2587  3 S 2.28-2.31
Fe 0.4420 0.4420 0.5016  4 S 2.21-2.42
Fe 0.5666 0.5666 0.1413  3 S 2.26-2.27
Fe 0.6931 0.6931 0.8278  3 S 2.24-2.32
Fe 0.7304 0.7304 0.4342  4 S 2.21-2.35
Fe 0.8404 0.8404 0.7035  1 S 2.22, 2 Fe 2.48
Fe 0.8551 0.8551 0.1175  3 S 2.25
S 0.0152 0.0152 0.7949  6 Fe 2.18-2.32
S 0.1084 0.1084 0.5030  6 Fe 2.14-2.35
S 0.1893 0.1893 0.0807  6 Fe 2.20-2.27
S 0.3372 0.3372 0.3716  7 Fe 2.18-2.42
S 0.4912 0.4912 0.6316  4 Fe 2.18-2.31
S 0.6026 0.6026 0.9374  6 Fe 2.18-2.24
S 0.7586 0.7586 0.2255  6 Fe 2.21-2.28



<ii>
A plane-wave DFT calculation with GGA-PBE was carried out for an optimized crystal structure of Fe2S.

Summary:
For the calculated volume, the calculation gives 12.437 Å³/atom.

abc: 4.6331 4.6331 19.5225
angles: 90.23 90.23 38.55
Last column: nearest neighbours and their distance in Å.
Positions (direct):
Fe 0.0000 0.0000 0.0000  3 S 2.23-2.29, 2 Fe 2.44
Fe 0.0027 0.0027 0.4506  3 S 2.32-2.47, 6 Fe 2.44-2.57
Fe 0.1383 0.1383 0.1140  2 S 2.23-2.28
Fe 0.1663 0.1663 0.7226  3 S 2.25, 2 Fe 2.41
Fe 0.2876 0.2876 0.4372  3 S 2.16-2.20
Fe 0.2959 0.2959 0.2338  2 S 2.30, 4 Fe 2.51-2.54
Fe 0.3150 0.3150 0.8344  3 S 2.15-2.21
Fe 0.4440 0.4440 0.5522  3 S 2.24-2.34
Fe 0.5801 0.5801 0.9025  2 S 2.26-2.28, 1 Fe 2.52
Fe 0.5848 0.5848 0.2706  4 S 2.21-2.22
Fe 0.7149 0.7149 0.0167  3 S 2.30-2.32, 6 Fe 2.44-2.53
Fe 0.7414 0.7414 0.6176  2 S 2.25-2.37, 1 Fe 2.52
Fe 0.8730 0.8730 0.3319  3 S 2.34-2.59, 3 Fe 2.54-2.57
'''

Divorces tear down a person’s old life and they are faced with having to rebuild a new one, sometimes from scratch. Some people have it worse than others. I have seen on many occasions clients who would not make it through a divorce without the help of a friend. The last thing we want to see is our friends and their children become homeless due to the strains of their divorce.

[Crystal structures, as found in the file]
~~~
[1]
Material: Nd2Te2W2O13
Method: DFT, PBE+U
State: optimized geometry

abc: 6.731 6.993 11.773
angles: 90.58 98.38 93.55
Positions (direct):
Nd (0.132, 0.372, 0.368)
Nd (0.269, 0.871, 0.882)
Nd (0.731, 0.129, 0.118)
Nd (0.868, 0.628, 0.632)
Te (0.251, 0.387, 0.051)
Te (0.330, 0.821, 0.559)
Te (0.670, 0.179, 0.441)
Te (0.749, 0.613, 0.949)
W (0.253, 0.881, 0.187)
W (0.390, 0.377, 0.702)
W (0.610, 0.623, 0.298)
W (0.747, 0.119, 0.813)
O (0.014, 0.101, 0.854)
O (0.077, 0.320, 0.158)
O (0.119, 0.654, 0.487)
O (0.150, 0.458, 0.723)
O (0.178, 0.854, 0.680)
O (0.228, 0.669, 0.048)
O (0.297, 0.047, 0.310)
O (0.298, 0.652, 0.281)
O (0.321, 0.249, 0.565)
O (0.344, 0.048, 0.070)
O (0.424, 0.168, 0.804)
O (0.489, 0.586, 0.854)
O (0.491, 0.613, 0.623)
O (0.509, 0.387, 0.377)
O (0.511, 0.414, 0.146)
O (0.576, 0.832, 0.196)
O (0.656, 0.952, 0.930)
O (0.679, 0.751, 0.435)
O (0.702, 0.348, 0.719)
O (0.703, 0.953, 0.690)
O (0.772, 0.331, 0.952)
O (0.822, 0.146, 0.320)
O (0.850, 0.542, 0.277)
O (0.881, 0.346, 0.513)
O (0.923, 0.680, 0.842)
O (0.986, 0.899, 0.146)

Results
Mass density (g cm⁻³): 6.79
Energy of formation (kJ/mol of atoms): -239
Total energy after the MP2020 corrections (eV/atom): -8.06
M_tot (μB per formula unit): 0.00
V (Å³ per atom): 14.4

***

[2]
Material: NdTlW2O8
Method: DFT, PBE+U
State: optimized geometry

abc: 5.294 19.041 8.327
angles: 90.00 90.00 90.00
Positions (direct):
Nd (0.000, 0.007, 0.250)
Nd (0.000, 0.993, 0.750)
Nd (0.500, 0.493, 0.750)
Nd (0.500, 0.507, 0.250)
Tl (0.000, 0.230, 0.750)
Tl (0.000, 0.770, 0.250)
Tl (0.500, 0.270, 0.250)
Tl (0.500, 0.730, 0.750)
W (0.021, 0.399, 0.018)
W (0.021, 0.601, 0.518)
W (0.479, 0.101, 0.518)
W (0.479, 0.899, 0.018)
W (0.521, 0.101, 0.982)
W (0.521, 0.899, 0.482)
W (0.979, 0.399, 0.482)
W (0.979, 0.601, 0.982)
O (0.102, 0.312, 0.475)
O (0.102, 0.688, 0.975)
O (0.224, 0.401, 0.842)
O (0.224, 0.599, 0.342)
O (0.239, 0.408, 0.189)
O (0.239, 0.592, 0.689)
O (0.244, 0.464, 0.503)
O (0.244, 0.536, 0.003)
O (0.256, 0.036, 0.003)
O (0.256, 0.964, 0.503)
O (0.261, 0.092, 0.689)
O (0.261, 0.908, 0.189)
O (0.276, 0.099, 0.342)
O (0.276, 0.901, 0.842)
O (0.398, 0.188, 0.975)
O (0.398, 0.812, 0.475)
O (0.602, 0.188, 0.525)
O (0.602, 0.812, 0.025)
O (0.724, 0.099, 0.158)
O (0.724, 0.901, 0.658)
O (0.739, 0.092, 0.811)
O (0.739, 0.908, 0.311)
O (0.744, 0.036, 0.497)
O (0.744, 0.964, 0.997)
O (0.756, 0.464, 0.997)
O (0.756, 0.536, 0.497)
O (0.761, 0.408, 0.311)
O (0.761, 0.592, 0.811)
O (0.776, 0.401, 0.658)
O (0.776, 0.599, 0.158)
O (0.898, 0.312, 0.025)
O (0.898, 0.688, 0.525)

Results
Mass density (g cm⁻³): 6.68
Energy of formation (kJ/mol of atoms): -235
ΔE to the lowest computed polymorph (meV per atom): 46
Total energy after the MP2020 corrections (eV/atom): -8.49
M_tot (μB per formula unit): 0.00
V (Å³ per atom): 17.5

***

[3]
Material: NdTlW2O8
Method: DFT, PBE+U
State: optimized geometry

abc: 7.751 7.751 7.553
angles: 117.12 117.12 89.36
Positions (direct):
Nd (0.225, 0.775, 0.750)
~~~

So how much aid should you give your divorcing friend? I guess it depends on a variety of factors. How close of a friend are you with the person you are helping? How bad off is your friend? How much can you give of yourself? How much of your friend’s problems will become your own problem?

Sometimes people going through a divorce need a place to live during the initial transition when they leave the family residence. Giving them a place to sleep such as your living room couch or your spare bedroom can go a long way.  Make sure, however, that your friend is trustworthy enough, not to make your home their new permanent residence before you offer your abode.

Coming to the aid of a divorcing friend can also mean giving them your time to listen and hang out.  Scheduling one day a week to hang out with your friend can provide a great deal of comfort. Calling them regularly to check in on them is highly recommended because people going through a divorce need to know there are people who care.

Giving or loaning money to a friend going through a divorce is also a real act of love, but it should be done with a degree of caution. Don’t destroy your own financial security paying for your friend’s divorce.  However, should contribute to your friend’s divorce registry. I say, why not?

(Unrelated to this page: materials data)
-- begin --
No. 1
16
Lattice="-1.599 3.004 6.143 -6.190 -3.317 0.012 2.907 -5.412 3.403" Properties=species:S:1:pos:R:3 comment="AlAs (PBE, optimized geometry)" total_energy_ev_per_cell=-72.60 formation_enthalpy_0k_mev_per_atom=-335 mass_density_g_cm3=3.909 pbc="T T T"
Al -1.667 -1.955 3.264
Al -1.883 -6.262 3.845
Al -0.412 -1.561 7.412
Al -5.801 -1.671 4.594
Al -3.214 -3.770 6.294
Al -2.998 0.538 5.713
Al -4.469 -4.163 2.146
Al 0.919 -4.054 4.963
As -0.689 -0.808 1.350
As -4.025 -5.241 4.396
As -0.750 -3.911 6.866
As -4.299 -1.489 6.504
As -4.192 -4.916 8.208
As -0.856 -0.484 5.161
As -4.132 -1.813 2.692
As -0.583 -4.236 3.054

=====

No. 2
2
Lattice="-1.155 -0.028 2.467 -0.894 -2.534 -0.447 4.515 -1.961 2.093" Properties=species:S:1:pos:R:3 comment="AlAs (PBE, optimized geometry)" total_energy_ev_per_cell=-8.12 formation_enthalpy_0k_mev_per_atom=140 mass_density_g_cm3=4.264 pbc="T T T"
Al 2.257 -0.980 1.046
As 0.000 0.000 0.000

=====

No. 3
18
Lattice="5.098 6.535 0.000 -5.098 6.535 0.000 0.000 0.107 6.682" Properties=species:S:1:pos:R:3 comment="Ca3Al2As4 (PBE, optimized geometry)" total_energy_ev_per_cell=-81.43 formation_enthalpy_0k_mev_per_atom=-952 polymorph_energy_mev_per_atom=0 mass_density_g_cm3=3.535 pbc="T T T"
Ca 1.010 6.616 5.011
Ca -1.010 6.562 1.670
Ca -3.792 5.052 6.494
Ca -3.792 8.179 3.528
Ca 3.792 8.125 0.187
Ca 3.792 4.999 3.153
Al -1.267 3.934 3.935
Al -1.267 9.297 6.088
Al 1.267 9.243 2.747
Al 1.267 3.881 0.594
As -0.901 8.612 3.753
As -0.901 4.619 6.270
As 0.901 4.566 2.929
As 0.901 8.558 0.412
As 3.360 8.041 3.498
As 3.360 5.190 6.524
As -3.360 5.136 3.184
As -3.360 7.988 0.157

=====

No. 4
18
Lattice="4.072 6.758 0.000 -4.072 6.758 0.000 0.000 0.492 8.269" Properties=species:S:1:pos:R:3 comment="Ca3Al2As4 (PBE, optimized geometry)" total_energy_ev_per_cell=-79.31 formation_enthalpy_0k_mev_per_atom=-834 polymorph_energy_mev_per_atom=118 mass_density_g_cm3=3.458 pbc="T T T"
Ca 2.832 7.128 6.202
Ca -2.233 9.076 7.127
Ca 2.233 4.934 1.142
Ca 2.233 8.830 2.992
Ca -2.832 6.882 2.067
Ca -2.233 5.180 5.277
Al -0.921 9.625 3.782
Al -0.921 4.138 0.353
Al 0.921 4.384 4.487
Al 0.921 9.872 7.916
As 0.723 9.068 5.548
As 0.723 5.187 6.855
As -0.723 8.822 1.414
As -0.723 4.941 2.721
As 0.930 12.441 7.966
As 0.930 1.814 4.438
As -0.930 1.568 0.304
As -0.930 12.195 3.831

----------

# ErRe2 GGA-PBE relaxed
data_ErRe2
_chemical_formula_sum 'Er4 Re8'
_space_group_name_H-M_alt 'P 63/m m c'
_space_group_IT_number 194
_space_group_name_Hall '-P 6c 2c'
_cell_length_a 5.4236
_cell_length_b 5.4236
_cell_length_c 8.8003
_cell_angle_alpha 90.00
_cell_angle_beta 90.00
_cell_angle_gamma 120.00
loop_
_atom_site_label
_atom_site_fract_x
_atom_site_fract_y
_atom_site_fract_z
Er1 0.3333 0.6667 0.0629
Re1 0.0000 0.0000 0.0000
Re2 0.1718 0.3437 0.7500
# - Electronic total energy: -10.091 eV per atom
# - Energy relative to the elements: -79 kJ/mol of formula units

----------
-- stop --

The one thing I would highly advise you not to do is to become your friend's Knight in Shining Armor related to the divorce proceedings. Keep a respectful distance from the proceedings. Steer away from creating a war room mentality where you spend hours every day with your friend strategizing how to win the divorce. Friends who want to help people going through a divorce should avoid becoming their pseudo lawyers or combat coaches.  Don’t bring the chaos into your own life.  It would not be good for you or your friend.  After all, stability more than else is what people need.   
